We look at the rise of ‘robostocks’ and algorithmic trading, and consider the repercussions on financial markets.

An old investment adage mockingly states that “a failed trade becomes a long term investment”. The idea behind it is that if a security is bought and underperforms, investors tend to keep it until it eventually becomes profitable, in what Nobel laureate Daniel Kahneman described as the “endowment effect”.

Here the page breaks off for data records =
[1]
First-principles (r2SCAN) data for a relaxed structure of Ba3Sn2, as listed in the Materials Project.

Geometry as CIF:
```
data_Ba3Sn2
_cell_length_a 6.706
_cell_length_b 6.706
_cell_length_c 18.058
_cell_angle_alpha 90.00
_cell_angle_beta 90.00
_cell_angle_gamma 90.00
_symmetry_space_group_name_H-M 'P 43 21 2'
_symmetry_Int_Tables_number 96
loop_
_symmetry_equiv_pos_as_xyz
'x,y,z'
'-y+1/2,x+1/2,z+3/4'
'-x,-y,z+1/2'
'y+1/2,-x+1/2,z+1/4'
'x+1/2,-y+1/2,-z+1/4'
'-y,-x,-z+1/2'
'-x+1/2,y+1/2,-z+3/4'
'y,x,-z'
loop_
_atom_site_label
_atom_site_type_symbol
_atom_site_fract_x
_atom_site_fract_y
_atom_site_fract_z
Ba1 Ba 0.084 0.343 0.386
Ba2 Ba 0.175 0.175 0.000
Sn1 Sn 0.086 0.171 0.797
```

M_tot	0.00	μB/cell
energy	-132.68	eV/f.u.
energy of formation	-0.74	eV/atom



[2]
First-principles (r2SCAN) data for a relaxed structure of BaZnSn, as listed in the Materials Project.

Geometry as CIF:
```
data_BaZnSn
_cell_length_a 4.7002
_cell_length_b 4.7002
_cell_length_c 9.9942
_cell_angle_alpha 90.00
_cell_angle_beta 90.00
_cell_angle_gamma 120.00
_symmetry_space_group_name_H-M 'P 63/m m c'
_symmetry_Int_Tables_number 194
_symmetry_space_group_name_Hall '-P 6c 2c'
loop_
_atom_site_label
_atom_site_type_symbol
_atom_site_fract_x
_atom_site_fract_y
_atom_site_fract_z
Ba1 Ba 0.0000 0.0000 0.0000
Zn1 Zn 0.3333 0.6667 0.2500
Sn1 Sn 0.3333 0.6667 0.7500
```

M_tot	0.00	μB/cell
energy	-61.95	eV/f.u.
energy of formation	-0.60	eV/atom



[3]
First-principles (r2SCAN) data for a relaxed structure of BaSr3, as listed in the Materials Project.

Geometry as CIF:
```
data_BaSr3
_cell_length_a 9.750
_cell_length_b 9.750
_cell_length_c 9.750
_cell_angle_alpha 90.00
_cell_angle_beta 90.00
_cell_angle_gamma 90.00
_symmetry_space_group_name_H-M 'F m -3 m'
_symmetry_Int_Tables_number 225
_symmetry_space_group_name_Hall '-F 4 2 3'
loop_
_atom_site_label
_atom_site_type_symbol
_atom_site_fract_x
_atom_site_fract_y
_atom_site_fract_z
Ba1 Ba 0.000 0.000 0.000
Sr1 Sr 0.000 0.000 0.500
Sr2 Sr 0.250 0.250 0.250
```

ΔE to the lowest computed polymorph	59	meV per atom
M_tot	2.59	μB/cell
energy	-71.70	eV/f.u.
energy of formation	0.06	eV/atom



[4]
First-principles (r2SCAN) data for a relaxed structure of BaSr3, as listed in the Materials Project.

Geometry as CIF:
```
data_BaSr3
_cell_length_a 6.213
_cell_length_b 6.213
_cell_length_c 12.309
_cell_angle_alpha 90.00
_cell_angle_beta 90.00
_cell_angle_gamma 90.00
_symmetry_space_group_name_H-M 'I 4/m m m'
_symmetry_Int_Tables_number 139
_symmetry_space_group_name_Hall '-I 4 2'
loop_
_atom_site_label
_atom_site_type_symbol
_atom_site_fract_x
_atom_site_fract_y
_atom_site_fract_z
Ba1 Ba 0.000 0.000 0.000
Sr1 Sr 0.000 0.000 0.500
Sr2 Sr 0.000 0.500 0.250
```

ΔE to the lowest computed polymorph	66	meV per atom
M_tot	0.01	μB/cell
energy	-71.67	eV/f.u.
energy of formation	0.07	eV/atom



[5]
First-principles (r2SCAN) data for a relaxed structure of BaSr3, as listed in the Materials Project.

Geometry as CIF:
```
data_BaSr3

Nowadays, however, the “trade” and the “investment” are mostly executed by different entities. Modern day trading is less dominated by human biases and more by algorithmic trading, computers trading on parameters set by mathematicians and CERN-educated physicists rather than fund managers driven by fundamentals.

The theme of a robot-dominated dystopia is prominent in fiction and our culture, with series such as “Westworld” and novels like Philip K. Dick’s wonderful “Do Androids Dream of Electric Sheep?”,  and has been gaining prominence in the past few years. There’s good reason for this. 20 Years after a program called Deep Blue defeated World Chess Champion Garry Kasparov, another AI program called “Libratus” recently beat four of the world’s best poker players in a gruelling 20-day tournament.

Someone pasted crystal structures at this point
/*
The following is a DFT calculation (GGA-PBE) of a relaxed VGaN2 crystal.

Calculated values
VASP energy in eV/cell: -122.2
Formation enthalpy at 0 K in meV per atom: -623

abc: 5.611 6.508 5.202
angles: 90.00 90.00 90.00
Element x y z (fractional)
V  0.078  0.124  0.000
V  0.422  0.624  0.500
V  0.578  0.376  0.000
V  0.922  0.876  0.500
Ga  0.086  0.624  0.007
Ga  0.414  0.124  0.507
Ga  0.586  0.876  0.007
Ga  0.914  0.376  0.507
N  0.083  0.129  0.383
N  0.086  0.624  0.388
N  0.414  0.124  0.888
N  0.417  0.629  0.883
N  0.583  0.371  0.383
N  0.586  0.876  0.388
N  0.914  0.376  0.888
N  0.917  0.871  0.883

The following is a DFT calculation (GGA-PBE) of a relaxed GaW2N3 crystal.

Calculated values
VASP energy in eV/cell: -213.7
Formation enthalpy at 0 K in meV per atom: -92

abc: 7.547 7.547 8.638
angles: 92.28 92.28 138.39
Element x y z (fractional)
Ga  0.191  0.213  0.363
Ga  0.213  0.191  0.863
Ga  0.787  0.809  0.137
Ga  0.809  0.787  0.637
W  0.007  0.543  0.840
W  0.180  0.475  0.602
W  0.457  0.993  0.660
W  0.475  0.180  0.102
W  0.525  0.820  0.898
W  0.543  0.007  0.340
W  0.820  0.525  0.398
W  0.993  0.457  0.160
N  0.046  0.649  0.617
N  0.171  0.829  0.250
N  0.214  0.528  0.012
N  0.351  0.954  0.883
N  0.450  0.550  0.750
N  0.472  0.786  0.488
N  0.528  0.214  0.512
N  0.550  0.450  0.250
N  0.649  0.046  0.117
N  0.786  0.472  0.988
N  0.829  0.171  0.750
N  0.954  0.351  0.383

The following is a DFT calculation (GGA-PBE) of a relaxed YGa2N3 crystal.

Calculated values
VASP energy in eV/cell: -84.4
Formation enthalpy at 0 K in meV per atom: -958

abc: 5.970 5.970 5.299
angles: 90.00 90.00 59.61
Element x y z (fractional)
Y  0.188  0.812  0.500
Y  0.812  0.188  0.000
Ga  0.160  0.492  0.018
Ga  0.492  0.160  0.518
Ga  0.508  0.840  0.018
Ga  0.840  0.508  0.518
N  0.170  0.454  0.387
N  0.196  0.804  0.946
N  0.454  0.170  0.887
N  0.546  0.830  0.387
N  0.804  0.196  0.446
N  0.830  0.546  0.887

=====

Record 1
Density functional theory data (GGA+U) for a relaxed structure of Ho2WO6.

## Properties
Space group   P2/c
DFT total energy   -8.13 eV/atom
E above lowest polymorph   0.000 eV per atom
Calculated formation energy   -320.4 kJ per mole of atoms

Cell lengths 5.381, 7.682, 11.458 Å; angles 75.36, 90.00, 90.00 degrees
Atoms (fractional coordinates):
Ho 0.189 0.798 0.578
O 0.853 0.633 0.549
O 0.536 0.786 0.229
O 0.015 0.291 0.229
O 0.036 0.938 0.896
O 0.475 0.853 0.431
O 0.985 0.291 0.729
O 0.985 0.709 0.771
O 0.525 0.853 0.931
O 0.536 0.214 0.271
W 0.253 0.721 0.887
Ho 0.811 0.202 0.422
O 0.637 0.513 0.111
Ho 0.683 0.500 0.750
W 0.253 0.279 0.613
O 0.147 0.633 0.049
O 0.964 0.062 0.104
W 0.747 0.279 0.113
O 0.363 0.487 0.889
O 0.853 0.367 0.951
O 0.637 0.487 0.389
Ho 0.811 0.798 0.078
O 0.475 0.147 0.069
O 0.525 0.147 0.569
Ho 0.737 0.000 0.750
O 0.036 0.062 0.604
Ho 0.189 0.202 0.922
W 0.747 0.721 0.387
O 0.363 0.513 0.611
O 0.964 0.938 0.396
Ho 0.317 0.500 0.250
O 0.147 0.367 0.451
O 0.464 0.214 0.771
*/
End of the crystal structures

Trading robots

Speed, hedging needs and best execution directives in multiple exchanges have taken precedence over cash flow and capital expenditure analysis. This is partly reflected in the huge growth in ETF assets, coupled with a decline in long-only fund assets over the past few years. Studies estimate the amount of algorithmic trading to be anywhere between 50% and 85% in the US, and a bit lower for Europe, rendering “Algos” a dominant market force. In a recent report, the Bank of International Settlements took a good look at the Sterling “Flash Crash” on October 7th 2016, during which the UK’s currency depreciated versus the Dollar 9% before retracing the move. The report cites, among other factors, the presence of staff “with less expertise in the suitability of particular algorithms for the prevailing market conditions”. What is particularly worrying is that currency markets are very deep and difficult to manipulate, which means that the fault probably lies not with one but with a large number of algorithms, set to react roughly the same way, a sort of computer “groupthink”.

Gavekal’s Anatole Kaletsky recently also cited the algorithms as key to explain buoyant market reactions after major events, like Brexit or the US election, the outcomes of which had been predicted as catastrophic by experts. He even went a step further, juxtaposing active management (like client portfolios and mutual funds) to passive management, which essentially means computers deciding instead of humans.

Insights from the GFC

It is, by now known that the 2008-2009 Global Financial Crisis did not begin with the demise of Lehman Brothers but with large size quantitative hedge funds going bust one year earlier, in August 2007, as automatic trading failed them. By their nature, algorithms are set to respond to a set of predictable circumstances, as they draw on past experience, and then use probabilistic models to assess future conditions. Also by design, they are short term. The longer one projects into the future, the more uncertain that future becomes. Robots can deal with probabilities of short term events but would find it harder to deal with the consequences of important market shifts, including the selloff by other robots. Thus, while “algos” may benefit from the Dow dropping 800 points in the hours after the US election, they could find it harder to respond to something more unpredictable and less binary, like for example China dumping US Treasuries in the open market, as a result of an escalating trade war. Policy changes, a shift in earnings trends, new regulations, anything “new” in nature is very difficult to program in advance. So, less policy guidance from central banks, for example, could level the playing field between fund managers and mathematical formulas.

However, unless Janet Yellen wakes up one morning to the belief that she doesn’t want to talk to the markets any more, or remove the Fed’s implicit protection, the interest rate environment is more predictable, allowing robots the edge.

What next for fund managers?

Fund managers now find their comfort zone in the “longer game”, where assessing the improbable is more than just about mathematical assumptions. In virtually 95% of the meetings we attend, we hear about the importance of security selection and the implementation of long term strategies. When we assess absolute return funds, the closest thing to a hedge fund with daily liquidity and within the UCITS frame, we are well aware that they best operate within predictable levels of volatility and could underperform if the market shifts completely, either to the upside or the downside.

A long term perspective

Could the next crisis then come from computers, as “Big Short” writer Michael Lewis hinted in his “Flash Boys”? Maybe. But, quite like other humans, we play the long game in our portfolios. We think of macro trends and how they may drive earnings. We ignore short-termism, not because we have no choice, but because the client’s objectives are set over the long term, and that is when they, and we, feel more comfortable. Thus portfolio owners should maintain their long-term perspective. As for investment managers and economists? We are driven to focus less on the repercussions of “known unknowns”, such as a surprise number in US payrolls, and are driven more towards focusing on the repercussions of “new events”, confident that humans can identify cyclical and structural breakpoints in the markets, even if computer trades persist in a different direction.